Set down every line below that contains the word "MgMn2Be2".
/*
Here is crystalline MgMn2Be2 at its relaxed geometry from the Alexandria database. Energies are from PBE.

## Properties
The value obtained for the magnetic moment is 0.0 μB/cell. The volume is 115 Å³/cell. The formation energy from the elements comes out at 22 kJ/mol of atoms.

Lattice parameters (Å, degrees): 6.722 6.722 2.536 90.00 90.00 90.00
Space group P4/mbm (No. 127)
Symmetry-distinct sites (fractional):
Mg: 0.000 0.000 0.000 [2 per cell]
Mn: 0.108 0.392 0.000 [4 per cell]
Be: 0.182 0.682 0.500 [4 per cell]
*/
Here is crystalline MgMn2Be2 at its relaxed geometry from the Alexandria database. Energies are from PBE.